Request =
Your job: echo everything further down character by character.

Data =
# C74H70ClIN2O2P2TeTi

C74H70ClIN2O2P2TeTi as an isolated structure in a non-equilibrium geometry (the ωB97M-V functional and the def2-TZVPD basis, the Open Molecules 2025 dataset).

Properties
- Multiplicity: 2
- Electronic energy: -5679.92473 a.u.
- Relative energy (zero: lowest compared OMol25 entry of this formula, charge and spin): 0.0 kJ/mol
- HOMO energy (spin up / spin down): -2.61 / -2.64 eV
- Total charge: -1

The geometry in XYZ format:
```
154
Properties=species:S:1:pos:R:3:forces:R:3:lowdin_charge:R:1
Ti 0.28553 -1.71887 0.62493 0.2452 1.2978 0.6357 0.6271
I 2.28803 -0.89435 2.79883 0.5772 0.2348 0.5447 1.2923
C 2.92358 0.12747 4.58614 -0.9730 0.4291 -0.2966 -0.5159
C 4.04677 -0.47332 5.04421 0.7514 -0.2024 0.4715 -0.2045
C 4.68697 -0.06090 6.23772 0.1542 -0.3890 -0.3562 -0.0869
C 4.16221 0.95596 6.95233 -0.1555 0.2665 0.2115 -0.0606
C 2.99277 1.62610 6.51146 -0.1424 -0.1635 -0.3656 -0.1638
C 2.49384 2.68124 7.30697 0.2746 -0.1647 0.1054 -0.0523
C 1.39213 3.37004 6.93266 -0.4670 0.2375 -0.2517 -0.0694
C 0.74324 3.02585 5.72809 0.0079 0.3461 0.3753 -0.1019
C 1.17086 2.01929 4.90906 0.2369 -0.4104 -0.2865 -0.2938
P 0.11919 1.70334 3.39308 -0.0109 0.0379 0.2150 1.0981
C -1.45494 1.41223 4.33208 0.0575 0.0124 0.0483 -0.3542
C -2.58123 2.22844 4.38514 -0.0469 -0.1340 0.0887 -0.0806
C -3.70540 1.84187 5.11831 0.1494 -0.0182 -0.0911 -0.0871
C -3.71187 0.64638 5.82101 0.0294 0.1123 -0.0375 -0.1018
C -2.58668 -0.17018 5.78621 0.0749 0.0013 -0.0196 -0.0860
C -1.47707 0.20751 5.04677 -0.0144 0.0405 0.0346 -0.1203
C -0.06376 3.37558 2.66218 -0.0944 0.0301 0.0637 -0.3615
C -1.13903 3.60238 1.79662 -0.1286 0.0488 0.0449 -0.1201
C -1.28913 4.82694 1.15619 0.0393 -0.0068 0.1691 -0.0861
C -0.33280 5.82162 1.32173 -0.0838 -0.0842 0.0992 -0.0984
C 0.78525 5.57259 2.10581 -0.1274 -0.0560 0.0893 -0.0961
C 0.91739 4.36125 2.77475 -0.1470 0.0819 0.0442 -0.0962
C 2.32967 1.24546 5.28798 0.2522 0.0308 0.1223 -0.1563
H 4.46345 -1.29358 4.46883 0.0400 0.0525 0.1708 0.0657
H 5.58594 -0.56526 6.57365 -0.0420 -0.0114 -0.0661 0.1020
H 4.62606 1.28247 7.87768 -0.0458 0.0120 -0.0443 0.1077
H 3.01303 2.92103 8.22985 0.0079 -0.0160 -0.0662 0.1092
H 1.01140 4.17950 7.54671 -0.0252 -0.0566 -0.0796 0.1036
H -0.13856 3.58316 5.43781 -0.0215 0.0494 0.0228 0.1062
H -2.59496 3.17595 3.86532 0.0201 0.0317 -0.0792 0.0916
H -4.58046 2.48185 5.12642 0.0461 0.0027 0.0334 0.0974
H -4.58269 0.35770 6.39787 0.0188 -0.0214 -0.0492 0.0945
H -2.57964 -1.10935 6.32974 0.0206 0.0617 -0.0278 0.0996
H -0.60073 -0.43676 5.02148 -0.0724 0.0040 -0.0069 0.1026
H -1.85145 2.80653 1.59913 0.0466 0.1105 0.0777 0.1060
H -2.15050 4.99815 0.51954 0.0647 -0.0370 0.0275 0.0953
H -0.45154 6.77924 0.82845 0.0336 -0.0299 -0.0323 0.0985
H 1.56037 6.32362 2.19744 0.0065 -0.0250 0.0106 0.1029
H 1.79412 4.17803 3.38288 0.0006 0.0373 0.0188 0.1051
C 7.76853 -1.00416 -1.01473 -0.0329 0.0009 0.0093 -0.1337
C 7.12336 -0.71267 -2.21288 -0.1895 0.1633 -0.0257 -0.1174
C 5.75346 -0.44051 -2.22285 0.2308 -0.0312 0.4097 -0.1268
C 4.98779 -0.46481 -1.04233 -0.1019 -0.8557 -0.9260 -0.2919
C 5.66534 -0.75385 0.14416 0.1257 0.1035 -0.1217 -0.1286
C 7.03307 -1.02722 0.16568 -0.1194 0.0854 0.0558 -0.1137
P 2.96037 -0.39883 -0.79135 2.1170 1.2125 0.8664 0.9659
C 2.71890 0.37379 -2.44400 -0.2823 -0.1287 0.0634 -0.3167
C 1.80662 -0.06600 -3.40397 0.0759 -0.0075 -0.1077 -0.0906
C 1.50725 0.69847 -4.52923 0.0247 -0.0410 0.0058 -0.1004
C 2.13539 1.91938 -4.72962 -0.0320 0.0323 0.0080 -0.1100
C 3.08023 2.35916 -3.80531 -0.0012 -0.1641 0.1531 -0.0917
C 3.36429 1.59706 -2.67814 -0.0439 -0.0236 -0.1326 -0.1151
C 2.84138 -2.22478 -0.67694 0.0554 0.1783 0.1487 -0.3831
C 3.62975 -2.99821 -1.53721 -0.1765 -0.1737 0.2599 -0.1126
C 3.88272 -4.32829 -1.24594 -0.0946 -0.2026 0.2452 -0.0974
C 3.37016 -4.87606 -0.06679 0.1998 -0.0182 -0.3960 -0.1077
C 2.51613 -4.12892 0.73100 0.0182 0.4136 0.0803 -0.1497
C 2.16995 -2.79155 0.45684 0.7845 -0.0838 -0.5219 -0.3355
H 8.83542 -1.20664 -1.00278 -0.0776 -0.0291 0.0040 0.0840

Done =
# C74H70ClIN2O2P2TeTi

C74H70ClIN2O2P2TeTi as an isolated structure in a non-equilibrium geometry (the ωB97M-V functional and the def2-TZVPD basis, the Open Molecules 2025 dataset).

Properties
- Multiplicity: 2
- Electronic energy: -5679.92473 a.u.
- Relative energy (zero: lowest compared OMol25 entry of this formula, charge and spin): 0.0 kJ/mol
- HOMO energy (spin up / spin down): -2.61 / -2.64 eV
- Total charge: -1

The geometry in XYZ format:
```
154
Properties=species:S:1:pos:R:3:forces:R:3:lowdin_charge:R:1
Ti 0.28553 -1.71887 0.62493 0.2452 1.2978 0.6357 0.6271
I 2.28803 -0.89435 2.79883 0.5772 0.2348 0.5447 1.2923
C 2.92358 0.12747 4.58614 -0.9730 0.4291 -0.2966 -0.5159
C 4.04677 -0.47332 5.04421 0.7514 -0.2024 0.4715 -0.2045
C 4.68697 -0.06090 6.23772 0.1542 -0.3890 -0.3562 -0.0869
C 4.16221 0.95596 6.95233 -0.1555 0.2665 0.2115 -0.0606
C 2.99277 1.62610 6.51146 -0.1424 -0.1635 -0.3656 -0.1638
C 2.49384 2.68124 7.30697 0.2746 -0.1647 0.1054 -0.0523
C 1.39213 3.37004 6.93266 -0.4670 0.2375 -0.2517 -0.0694
C 0.74324 3.02585 5.72809 0.0079 0.3461 0.3753 -0.1019
C 1.17086 2.01929 4.90906 0.2369 -0.4104 -0.2865 -0.2938
P 0.11919 1.70334 3.39308 -0.0109 0.0379 0.2150 1.0981
C -1.45494 1.41223 4.33208 0.0575 0.0124 0.0483 -0.3542
C -2.58123 2.22844 4.38514 -0.0469 -0.1340 0.0887 -0.0806
C -3.70540 1.84187 5.11831 0.1494 -0.0182 -0.0911 -0.0871
C -3.71187 0.64638 5.82101 0.0294 0.1123 -0.0375 -0.1018
C -2.58668 -0.17018 5.78621 0.0749 0.0013 -0.0196 -0.0860
C -1.47707 0.20751 5.04677 -0.0144 0.0405 0.0346 -0.1203
C -0.06376 3.37558 2.66218 -0.0944 0.0301 0.0637 -0.3615
C -1.13903 3.60238 1.79662 -0.1286 0.0488 0.0449 -0.1201
C -1.28913 4.82694 1.15619 0.0393 -0.0068 0.1691 -0.0861
C -0.33280 5.82162 1.32173 -0.0838 -0.0842 0.0992 -0.0984
C 0.78525 5.57259 2.10581 -0.1274 -0.0560 0.0893 -0.0961
C 0.91739 4.36125 2.77475 -0.1470 0.0819 0.0442 -0.0962
C 2.32967 1.24546 5.28798 0.2522 0.0308 0.1223 -0.1563
H 4.46345 -1.29358 4.46883 0.0400 0.0525 0.1708 0.0657
H 5.58594 -0.56526 6.57365 -0.0420 -0.0114 -0.0661 0.1020
H 4.62606 1.28247 7.87768 -0.0458 0.0120 -0.0443 0.1077
H 3.01303 2.92103 8.22985 0.0079 -0.0160 -0.0662 0.1092
H 1.01140 4.17950 7.54671 -0.0252 -0.0566 -0.0796 0.1036
H -0.13856 3.58316 5.43781 -0.0215 0.0494 0.0228 0.1062
H -2.59496 3.17595 3.86532 0.0201 0.0317 -0.0792 0.0916
H -4.58046 2.48185 5.12642 0.0461 0.0027 0.0334 0.0974
H -4.58269 0.35770 6.39787 0.0188 -0.0214 -0.0492 0.0945
H -2.57964 -1.10935 6.32974 0.0206 0.0617 -0.0278 0.0996
H -0.60073 -0.43676 5.02148 -0.0724 0.0040 -0.0069 0.1026
H -1.85145 2.80653 1.59913 0.0466 0.1105 0.0777 0.1060
H -2.15050 4.99815 0.51954 0.0647 -0.0370 0.0275 0.0953
H -0.45154 6.77924 0.82845 0.0336 -0.0299 -0.0323 0.0985
H 1.56037 6.32362 2.19744 0.0065 -0.0250 0.0106 0.1029
H 1.79412 4.17803 3.38288 0.0006 0.0373 0.0188 0.1051
C 7.76853 -1.00416 -1.01473 -0.0329 0.0009 0.0093 -0.1337
C 7.12336 -0.71267 -2.21288 -0.1895 0.1633 -0.0257 -0.1174
C 5.75346 -0.44051 -2.22285 0.2308 -0.0312 0.4097 -0.1268
C 4.98779 -0.46481 -1.04233 -0.1019 -0.8557 -0.9260 -0.2919
C 5.66534 -0.75385 0.14416 0.1257 0.1035 -0.1217 -0.1286
C 7.03307 -1.02722 0.16568 -0.1194 0.0854 0.0558 -0.1137
P 2.96037 -0.39883 -0.79135 2.1170 1.2125 0.8664 0.9659
C 2.71890 0.37379 -2.44400 -0.2823 -0.1287 0.0634 -0.3167
C 1.80662 -0.06600 -3.40397 0.0759 -0.0075 -0.1077 -0.0906
C 1.50725 0.69847 -4.52923 0.0247 -0.0410 0.0058 -0.1004
C 2.13539 1.91938 -4.72962 -0.0320 0.0323 0.0080 -0.1100
C 3.08023 2.35916 -3.80531 -0.0012 -0.1641 0.1531 -0.0917
C 3.36429 1.59706 -2.67814 -0.0439 -0.0236 -0.1326 -0.1151
C 2.84138 -2.22478 -0.67694 0.0554 0.1783 0.1487 -0.3831
C 3.62975 -2.99821 -1.53721 -0.1765 -0.1737 0.2599 -0.1126
C 3.88272 -4.32829 -1.24594 -0.0946 -0.2026 0.2452 -0.0974
C 3.37016 -4.87606 -0.06679 0.1998 -0.0182 -0.3960 -0.1077
C 2.51613 -4.12892 0.73100 0.0182 0.4136 0.0803 -0.1497
C 2.16995 -2.79155 0.45684 0.7845 -0.0838 -0.5219 -0.3355
H 8.83542 -1.20664 -1.00278 -0.0776 -0.0291 0.0040 0.0840